Press Room


February 8, 2000



Mr. Chairman, thank you for the opportunity to testify on the issue of dollarization and your proposed legislation that would establish a framework for potentially sharing seigniorage with countries that decide to dollarize. Given the interest in dollarization recently expressed in several Central and South American countries, your initiative is highly relevant. The issue of dollarization has many economic, financial, and political dimensions. In my testimony this morning, I focus primarily on the economic and financial aspects.

As the Administration has stated in prior testimony on the subject of dollarization, we do not have a view on whether dollarization is advisable in general. Each country, in principle, can dollarize unilaterally, and it must bear the responsibility to decide in light of its own economic and political circumstances if dollarization is the appropriate policy to pursue.

From the U.S. perspective, as Secretary Summers testified last April, it would not be appropriate for U.S. authorities to adjust the procedures or orientation of U.S. monetary policy in light of another country's adoption of the dollar; to extend banking supervision to that country's banks; or to provide access by those banks to the Federal Reserve's discount window. We have not changed our view. On the issue of sharing seigniorage, as we have said earlier, Congressional action would be required to permit the United States to pay seigniorage to a dollarizing country. Further, we believe strongly that, during the process of deciding whether to share seigniorage with any given country, there should be extensive consultation by the Administration with the Congress to limit the scope for subsequent problems. The technical issues associated with dollarization are many and complex, and we also would certainly want to draw upon the expertise of other agencies, including the Federal Reserve.

Considerations for dollarizing countries

A country's decision to end the legal tender status of its national currency and to bestow that status on the U.S. dollar is momentous regardless of the circumstances. The reasons a country may choose to dollarize can be varied, and the benefits are potentially significant. However, it is essential to remember that dollarization cannot substitute for sound macroeconomic policies, robust institutions, and flexible markets. The principal benefits of dollarization are the credibility and policy discipline derived from its implicit irrevocability. Its principal economic cost is the renunciation of national monetary autonomy.

The basic trade-off associated with dollarization is between the advantages and disadvantages of a regime with some degree of exchange rate and monetary policy flexibility and a regime with none. Exchange rate adjustment is a potential shock absorber and also allows greater scope for national monetary autonomy. However, that potential must be balanced against the added macroeconomic policy discipline and credibility associated with rejecting all scope for discretionary monetary policy and adopting the currency and monetary policy of another country with such credibility. As in all meaningful trade-offs, judgments about the appropriate balance can differ across countries and their circumstances. Moreover, sound fundamental policies and institutions are needed to underpin any credible currency regime. In particular, a dollarizing country, like all countries, should have a sustainable fiscal position, a healthy banking system, flexible and well-functioning labor markets, open capital markets, and an environment in which private property is respected and contracts are enforced.

In addition to assessing its economic fundamentals, a country considering dollarization must weigh carefully the potential benefits against the potential costs. On the one hand, the implicit irrevocability of dollarization holds the promise of lower interest rates, lower inflation rates, higher levels of economic activity, greater financial stability, and deeper financial markets. These benefits can be expected to be especially attractive to a country with a record of financial instability and high inflation, but financial and fiscal crisis may still occur with dollarization.

On the other hand, the monetary authorities of a dollarizing country would be ceding the capacity to use monetary or exchange rate policy to cushion the economy against external or internal disturbances. Moreover, there is no guarantee that the exchange rate used to convert a country's domestic currency into dollars, thereby fixing that exchange rate irrevocably, will be the right exchange rate for the near term. Setting that conversion rate either too high or too low could have adverse implications for the real economy's short-term performance. Over time, if domestic prices and wages cannot adjust rapidly in response to disturbances, dollarization could also mean greater volatility in output and employment. Dollarization should not greatly impede the ability of the authorities to provide very short-term liquidity to individual banking institutions, but the authorities would lose much of their scope to respond to a systemic threat to the banking system.

For a country that has already made a strong commitment to a permanently fixed exchange rate, the balance of considerations with respect to dollarization differs. The scope for adjustment working through the exchange rate or domestic monetary policy is, in principle at least, already limited. Therefore, the effective costs of dollarizing may be lower along with the effective benefits. However, even a fixed exchange rate regime has an exit option, which is presumed to be lost with dollarization. Nevertheless, it is worth noting that many observers, including Paul Volcker, have suggested that in the wake of continuing globalization, the years and decades ahead may see a dramatic decline in the number of independent currencies in the world.

Considerations for the United States

Obviously, countries can choose to adopt the dollar as legal tender without our assent. However, we hope and expect that countries would consult with us in advance because there are potential benefits as well as costs to the United States from the adoption of such a policy. The benefits include increased seigniorage; reduced transaction costs for U.S. resident importers, exporters, borrowers, and lenders; the possibility of increased business for U.S. banks and other financial institutions; and the "power and prestige" that might be associated with having a more international currency. Indirectly, the United States would benefit from increased economic activity or greater financial stability that would be expected in the countries that dollarize successfully.

However, dollarization also involves potential costs or burdens for the United States. U.S. economic and regulatory policy makers could come under pressure from the authorities of the dollarized country to help support their economy's economic and financial stability. Questions have likewise been raised about the possible impact attitudes toward the United States in a dollarized country at times of financial stress. To the extent that dollarization furthered economic and other ties, this would normally be expected to be seen as a benefit to both the United States and the dollarized country. However, in difficult times, or when U.S. monetary policy is considered inappropriate or inconvenient for the dollarized country, there would be the risk that U.S. policies would foster resentment and encourage policy makers to deflect blame for their countries' problems onto the United States. Finally, if a substantial number of large countries should choose to dollarize, the monetary and exchange rate flexibility currently enjoyed by the United States itself would potentially be reduced.

Seigniorage sharing

A decision by another country to adopt the dollar as its currency would increase U.S. seigniorage revenues --in effect lowering the cost of financing U.S. government debt and improving the U.S. fiscal balance - because such an action would be expected to lead to increased holdings abroad of dollar currency. However, the size of this increase in the short run, let alone over time, remains an unanswered empirical question. The question of whether it would be appropriate to share those revenues or savings is an important public policy question. As noted above, dollarization may bring potential benefits to the United States as well as the dollarizing country, but also potential costs.

Looking at seigniorage sharing narrowly, in principle, a decision by the United States to share the seigniorage revenues associated with the increased amount of dollars in circulation as a consequence of a country's decision to dollarize would not cost the U.S. taxpayer anything. However, if a country would have dollarized anyway, or has large amounts of dollars circulating already, then sharing seigniorage with the United States would imply foregoing additional seigniorage revenues. At the same time, if the benefits of dollarization to a country are significant, they should outweigh the lost seigniorage. In other words, the deciding factor for either country should not be whether seigniorage would be shared.

One added potential risk to the United States from the sharing of seigniorage is that it may imply a degree of U.S. endorsement or ownership of a country's decision to dollarize. Unless carefully designed and implemented, dollarization also could lead to unintended legal or financial complications and potential liabilities for the United States, particularly if a country seeks creative ways to meet its banking system's short-run liquidity needs - to provide lender-of-last-resort support for the domestic banking system - by securitizing potential seigniorage flows.

Sharing of dollar seigniorage raises complex questions. For example, where would we draw the line on the sharing of seigniorage? If the United States decided to share our increased seigniorage with one dollarizing country does that mean we would stand ready to share it with all countries that we view as meeting the economic criteria for dollarization and seigniorage sharing? How would we decide the right amount of seigniorage to share?

Senator Mack's proposed legislation suggests answers to some of these questions. He has contributed importantly to the intellectual debate on both dollarization and seigniorage sharing. The proposed legislation is one approach to arrangements for potential seigniorage sharing, that is, pass legislation to give the Treasury Secretary discretionary authority to rebate seigniorage to a specified degree to any country that makes such a request as long as it meets certain conditions. That approach has the advantage of providing a country that is considering dollarization with a framework within which to consider its decision and, in the process, may encourage responsible dollarization.

On the other hand, each country is likely to come to its decision to dollarize in the context of different economic, financial, and political circumstances, and U.S. attitudes toward that decision may differ depending on those circumstances. Another approach, therefore, would be to wait until a country makes a concrete request to share seigniorage and then consider specific legislation that would enable us to do so under the particular circumstances.

Let me mention some of the technical issues and complexities that would be involved in seigniorage sharing. The calculation of the appropriate amount of seigniorage to share is tricky. The Federal Reserve has only estimates of the total amount of dollars circulating outside the United States. We have no way of knowing the actual amount circulating abroad, and estimates of the amount used by the residents of any one country are even rougher. Thus, any formula for sharing seigniorage inherently would be only an approximation of the actual seigniorage "lost" by the dollarizing country or "gained" by the United States as a result of a country's decision to dollarize.

If it were decided to adopt seigniorage sharing as U.S. policy, important implementation challenges would arise in order to have reasonable confidence that the "right" amount is shared. U.S. taxpayers would want some assurance that they are not being exploited by seigniorage "rebates" to foreign countries in excess of additional seigniorage that is being "gained" by the United States. While the approach suggested in the proposed legislation is plausible, several considerations would arise about its actual implementation. These include:

Recognition that we would have no way of knowing the actual amount of U.S. currency in circulation in a given country at any point in time.

Second, it can not be fully guaranteed that a country would not receive more than its "fair share" of seigniorage revenues. For example, the formula in the Chairman's proposed legislation assumes implicitly that the dollarized economy has the same income elasticity of demand for currency as the United States and other countries in the world that use dollars. If the income elasticity of demand for currency was lower in the dollarizing economy, seigniorage sharing calculated by the formula would be too large. This would also be the case if the demand for cash in the dollarizing country were to fall as the demand for other monetary aggregates rose, for example, as a result of enhanced intermediation or the repatriation of flight capital.

Third, some might raise questions about the appropriate interest rate to use as a proxy for the opportunity cost of holding cash in dollars. This is also not a matter that can be settled on a factual basis. One could argue that the interest rate on U.S. government bonds would be appropriate because that rate most closely reflects the long-term liability nature of money. One could also argue that the 90-day Treasury bill rate as specified in the proposed legislation is more appropriate because it is a good proxy for the opportunity cost of holding reserves, as well as the net return on the Federal Reserve's portfolio. Given the generally upward slope of the U.S. yield curve, the use of a short-term interest rate has the added benefit of being more conservative from a U.S. perspective than the use of a long-term rate. A third concept might be the rate that the dollarizing country would have earned on its dollar-denominated assets, which depends on the composition of its portfolio of such assets.

Fourth, any approach for sharing seigniorage with countries that have already officially dollarized inherently cannot be expected to reflect with complete accuracy a country's actual holding of dollars now or in the future.

Fifth, some might raise questions about whether there should be allowance for the ex-ante partial, but substantial, dollarization of countries, such as Argentina, that ultimately decide to fully and officially dollarize.

Nevertheless, these questions have reasonable answers as long as one is prepared in some instances to be satisfied with less than full precision.

I should also note that an approach to sharing seigniorage by means of paying interest on a consol issued by the United States would raise issues about the status of this security under the laws that govern the management of U.S. debt. Moreover, issues about the budgetary treatment and the full legislative implications of sharing seigniorage would have to be addressed.

Let me make one final comment on Chairman Mack's thoughtful legislation. The ten actions that the Treasury Secretary would be required to take into consideration in determining whether to certify that a country has officially dollarized, and is eligible for seigniorage sharing, are definitely relevant. To such actions, however, there may be other important factors to consider before we decide to share our increased seigniorage. For example, dollarization is more likely to succeed in a given country if, at the time of dollarization, a country's foreign reserves cover at least the local currency in circulation, and the commitment of the country's citizens to dollarization is high. Furthermore, the economic and financial context in which dollarization takes place can also play an important part in determining its success. Dollarization as a part of a coherent long-term economic strategy is likely to be a more successful than dollarization in response to a financial crisis. The latter is more likely to involve hasty decisions with unforeseen consequences.


In conclusion, again I want to commend you, Mr. Chairman, for your thoughtful proposal and many contributions to a complex and increasingly relevant policy discussion. We will want to continue an open dialogue with Congress and other interested parties as we proceed to analyze further the many facets of this subject.

== Attached: records of molecules ==
- - -
ORCA calculation (ωB97M-V/def2-TZVPD) on one molecule with the formula C8H13N3OS in a non-equilibrium geometry.

Properties
HOMO energy: -7.7 eV
lowest unoccupied orbital energy: 0.550 eV
structure (SMILES): CO[C@H](c1ncccn1)[C@@H](C)SN
ΔE to the lowest compared entry with this formula, charge and spin: 49.1 kcal/mol

Structure (ORCA input):
```
! RIJCOSX wB97M-V def2-TZVPD def2/J DEFGRID3
* xyz 0 1
C 0.46853 -2.08245 1.88634
O 0.69239 -1.36312 0.69059
C 0.26091 0.01797 0.57604
C -1.18003 0.08349 0.15560
N -2.06852 0.29201 1.05107
C -3.33326 0.21170 0.64657
C -3.70335 0.09638 -0.70070
C -2.66359 0.08478 -1.59626
N -1.41968 0.00936 -1.17311
C 1.20871 0.75625 -0.48438
C 0.94840 2.25564 -0.33717
S 2.96554 0.34790 -0.04074
N 3.43664 -0.16082 -1.67338
H 1.12932 -2.88641 1.87840
H -0.57919 -2.53848 1.79126
H 0.27148 -1.46930 2.79991
H 0.39914 0.53483 1.58168
H -3.97733 0.22005 1.54607
H -4.70181 0.08207 -1.02958
H -2.83128 0.35350 -2.62912
H 1.11416 0.20618 -1.36164
H 1.39512 2.78600 -1.23769
H -0.05232 2.46686 -0.42388
H 1.24886 2.54650 0.65216
H 4.43426 -0.32344 -1.60676
H 3.03683 -1.02229 -2.05702
*
```


ORCA calculation (ωB97M-V/def2-TZVPD) on an isolated ion of composition C8H13N3S and charge +2 in a non-equilibrium geometry.

Properties
HOMO energy (alpha / beta): -15.1 / -15.0 eV
lowest unoccupied orbital energy (alpha / beta): -8.382 / -8.229 eV
ΔE to the lowest compared entry with this formula, charge and spin: 0.0 kcal/mol

Structure (ORCA input):
```
! RIJCOSX wB97M-V def2-TZVPD def2/J DEFGRID3
* xyz 2 1
C 0.03672 1.98339 -0.79449
C 1.33518 2.41754 -0.36277
C -0.41851 0.73516 -0.48147
C 1.64189 0.22317 0.54649
C 0.40669 -1.53250 -0.64221
C -2.57245 0.23559 0.63593
C 2.54889 -0.65979 1.40061
C -0.78596 -2.10125 -1.26531
N 0.55498 -0.25853 -0.14375
N 1.99193 1.50859 0.34270
N -1.89197 0.56721 -0.42734
S -4.22545 0.02015 0.47064
H -0.55675 2.68200 -1.22373
H 1.59196 3.46355 -0.29765
H 1.24429 -2.15695 -0.66843
H -2.00910 -0.12278 1.47779
H 3.33651 -1.07735 0.78747
H 1.86344 -1.29048 1.94853
H 3.12667 0.09696 2.00114
H -1.60506 -2.43415 -0.61895
H -0.57236 -3.03323 -1.83127
H -1.29888 -1.45281 -1.99790
H 2.88966 1.73172 0.67925
H -2.33305 0.72710 -1.27385
H -4.29925 -0.27232 1.73858
*
```


ORCA calculation (ωB97M-V/def2-TZVPD) on a 2-piece molecular cluster, C8H13N4O overall in a non-equilibrium geometry.

Properties
HOMO energy (alpha / beta): -6.9 / -12.3 eV
lowest unoccupied orbital energy (alpha / beta): -2.833 / -4.547 eV
ΔE to the lowest compared entry with this formula, charge and spin: 0.0 kcal/mol

Structure (ORCA input):
```
! RIJCOSX wB97M-V def2-TZVPD def2/J DEFGRID3
* xyz 1 3
C 5.41401 1.61299 -0.86744
C 4.37366 0.75047 -1.23613
C 4.14845 1.00827 0.86045
C -2.49069 -0.69746 0.72162
C -1.23394 -0.36716 0.44975
C -4.38219 -0.03509 -0.48061
C -4.44013 -0.91233 -1.71010
C 1.00572 -0.83822 0.10262
N 5.12369 1.78661 0.42737
N -3.64998 -0.01083 0.51655
N 3.66830 0.36286 -0.17771
N -0.15197 -1.13320 0.69845
O 2.02807 -1.46249 0.27946
- - -

Thank you, Mr. Chairman, and the other members of this subcommittee for your time. I will be happy to respond to any questions.